**Given**
<<<
Entry 1:
Simulated PXRD pattern
Compound: NaIn3Sb3
Radiation: Cu Ka
Structure: DFT lattice parameters and positions (GGA-PBE)

Structure:
```
data_NaIn3Sb3
_space_group_name_H-M_alt 'P 1 21/m 1'
_space_group_IT_number 11
_cell_length_a 11.7207
_cell_length_b 4.6858
_cell_length_c 11.7360
_cell_angle_alpha 90.00
_cell_angle_beta 119.95
_cell_angle_gamma 90.00
loop_
_space_group_symop_operation_xyz
'x,y,z'
'-x,-y,-z'
'-x,y+1/2,-z'
'x,-y+1/2,z'
loop_
_atom_site_label
_atom_site_fract_x
_atom_site_fract_y
_atom_site_fract_z
Na1 0.1666 0.2500 0.3334
In1 0.0995 0.2500 0.9365
In2 0.1631 0.7500 0.5998
In3 0.4361 0.7500 0.3371
Sb1 0.0696 0.2500 0.6756
Sb2 0.1759 0.7500 0.1053
Sb3 0.3948 0.7500 0.5706
```

The 10 most intense peaks (10 to 90 degrees two-theta), in order of rising 2θ:
- 2θ = 15.1°, d 5.866, I = 821
- 2θ = 20.9°, d 4.255, I = 633
- 2θ = 25.9°, d 3.444, I = 552
- 2θ = 26.3°, d 3.387, I = 349
- 2θ = 30.1°, d 2.970, I = 686
- 2θ = 35.3°, d 2.540, I = 279
- 2θ = 37.2°, d 2.415, I = 290
- 2θ = 38.4°, d 2.343, I = 343
- 2θ = 40.4°, d 2.233, I = 1000
- 2θ = 43.4°, d 2.087, I = 263



Entry 2:
Simulated PXRD pattern
Compound: NaInSbSe4
Radiation: Cu Ka
Structure: DFT lattice parameters and positions (GGA-PBE)

Structure:
```
data_NaInSbSe4
_space_group_name_H-M_alt 'I -4'
_space_group_IT_number 82
_cell_length_a 6.7096
_cell_length_b 6.7096
_cell_length_c 10.3631
_cell_angle_alpha 90.00
_cell_angle_beta 90.00
_cell_angle_gamma 90.00
loop_
_space_group_symop_operation_xyz
'x,y,z'
'y,-x,-z'
'-x,-y,z'
'-y,x,-z'
'x+1/2,y+1/2,z+1/2'
'y+1/2,-x+1/2,-z+1/2'
'-x+1/2,-y+1/2,z+1/2'
'-y+1/2,x+1/2,-z+1/2'
loop_
_atom_site_label
_atom_site_fract_x
_atom_site_fract_y
_atom_site_fract_z
Na1 0.0000 0.0000 0.0000
In1 0.0000 0.0000 0.5000
Sb1 0.0000 0.5000 0.7500
Se1 0.2254 0.7664 0.3580
```

The 10 most intense peaks (10 to 90 degrees two-theta), in order of rising 2θ:
- 2θ = 15.7°, d 5.632, I = 516
- 2θ = 25.5°, d 3.499, I = 1000
- 2θ = 31.0°, d 2.882, I = 183
- 2θ = 37.9°, d 2.372, I = 333
- 2θ = 39.8°, d 2.265, I = 117
- 2θ = 44.2°, d 2.051, I = 403
- 2θ = 46.2°, d 1.964, I = 363
- 2θ = 54.7°, d 1.677, I = 104
- 2θ = 56.7°, d 1.623, I = 86
- 2θ = 72.9°, d 1.298, I = 153



Entry 3:
Simulated PXRD pattern
Compound: NaTlInSb
Radiation: Cu Ka
Structure: DFT lattice parameters and positions (GGA-PBE)

Structure:
```
data_NaTlInSb
_space_group_name_H-M_alt 'P m m m'
_space_group_IT_number 47
_cell_length_a 4.4784
_cell_length_b 4.8472
_cell_length_c 5.1034
_cell_angle_alpha 90.00
_cell_angle_beta 90.00
_cell_angle_gamma 90.00
loop_
_space_group_symop_operation_xyz
'x,y,z'
'-x,-y,-z'
'-x,-y,z'
'x,y,-z'
'x,-y,-z'
'-x,y,z'
'-x,y,-z'
'x,-y,z'
loop_
_atom_site_label
_atom_site_fract_x
_atom_site_fract_y
_atom_site_fract_z
Na1 0.0000 0.0000 0.0000
Tl1 0.5000 0.5000 0.0000
In1 0.0000 0.5000 0.5000
Sb1 0.5000 0.0000 0.5000
```

The 10 most intense peaks (10 to 90 degrees two-theta), in order of rising 2θ:
- 2θ = 18.3°, d 4.847, I = 134
- 2θ = 19.8°, d 4.478, I = 124
- 2θ = 25.3°, d 3.515, I = 138
- 2θ = 32.4°, d 2.765, I = 1000
- 2θ = 35.2°, d 2.552, I = 200
- 2θ = 37.1°, d 2.424, I = 173
- 2θ = 40.3°, d 2.239, I = 138
- 2θ = 52.0°, d 1.757, I = 130
- 2θ = 61.4°, d 1.511, I = 157
- 2θ = 63.9°, d 1.457, I = 139



Entry 4:
Simulated PXRD pattern
Compound: Na4ScIn3Se8
Radiation: Cu Ka
Structure: DFT lattice parameters and positions (GGA-PBE)

Structure:
```
data_Na4ScIn3Se8
_space_group_name_H-M_alt 'C 1 2/m 1'
_space_group_IT_number 12
_cell_length_a 13.9062
_cell_length_b 8.0296
_cell_length_c 8.4247
_cell_angle_alpha 90.00
_cell_angle_beta 123.37
_cell_angle_gamma 90.00
loop_
_space_group_symop_operation_xyz
'x,y,z'
'-x,-y,-z'
'-x,y,-z'
'x,-y,z'
'x+1/2,y+1/2,z'
'-x+1/2,-y+1/2,-z'
'-x+1/2,y+1/2,-z'
'x+1/2,-y+1/2,z'
loop_
_atom_site_label
_atom_site_fract_x
_atom_site_fract_y
_atom_site_fract_z
Na1 0.0000 0.0000 0.0000
Na2 0.0000 0.5000 0.0000
Na3 0.2500 0.2500 0.0000
Sc1 0.0000 0.0000 0.5000
In1 0.0000 0.5000 0.5000
In2 0.2500 0.2500 0.5000
>>>

**Request**
Set down only the last part of the block further up, starting with the line that has "Entry 2:", please.

**Completed**
Entry 2:
Simulated PXRD pattern
Compound: NaInSbSe4
Radiation: Cu Ka
Structure: DFT lattice parameters and positions (GGA-PBE)

Structure:
```
data_NaInSbSe4
_space_group_name_H-M_alt 'I -4'
_space_group_IT_number 82
_cell_length_a 6.7096
_cell_length_b 6.7096
_cell_length_c 10.3631
_cell_angle_alpha 90.00
_cell_angle_beta 90.00
_cell_angle_gamma 90.00
loop_
_space_group_symop_operation_xyz
'x,y,z'
'y,-x,-z'
'-x,-y,z'
'-y,x,-z'
'x+1/2,y+1/2,z+1/2'
'y+1/2,-x+1/2,-z+1/2'
'-x+1/2,-y+1/2,z+1/2'
'-y+1/2,x+1/2,-z+1/2'
loop_
_atom_site_label
_atom_site_fract_x
_atom_site_fract_y
_atom_site_fract_z
Na1 0.0000 0.0000 0.0000
In1 0.0000 0.0000 0.5000
Sb1 0.0000 0.5000 0.7500
Se1 0.2254 0.7664 0.3580
```

The 10 most intense peaks (10 to 90 degrees two-theta), in order of rising 2θ:
- 2θ = 15.7°, d 5.632, I = 516
- 2θ = 25.5°, d 3.499, I = 1000
- 2θ = 31.0°, d 2.882, I = 183
- 2θ = 37.9°, d 2.372, I = 333
- 2θ = 39.8°, d 2.265, I = 117
- 2θ = 44.2°, d 2.051, I = 403
- 2θ = 46.2°, d 1.964, I = 363
- 2θ = 54.7°, d 1.677, I = 104
- 2θ = 56.7°, d 1.623, I = 86
- 2θ = 72.9°, d 1.298, I = 153



Entry 3:
Simulated PXRD pattern
Compound: NaTlInSb
Radiation: Cu Ka
Structure: DFT lattice parameters and positions (GGA-PBE)

Structure:
```
data_NaTlInSb
_space_group_name_H-M_alt 'P m m m'
_space_group_IT_number 47
_cell_length_a 4.4784
_cell_length_b 4.8472
_cell_length_c 5.1034
_cell_angle_alpha 90.00
_cell_angle_beta 90.00
_cell_angle_gamma 90.00
loop_
_space_group_symop_operation_xyz
'x,y,z'
'-x,-y,-z'
'-x,-y,z'
'x,y,-z'
'x,-y,-z'
'-x,y,z'
'-x,y,-z'
'x,-y,z'
loop_
_atom_site_label
_atom_site_fract_x
_atom_site_fract_y
_atom_site_fract_z
Na1 0.0000 0.0000 0.0000
Tl1 0.5000 0.5000 0.0000
In1 0.0000 0.5000 0.5000
Sb1 0.5000 0.0000 0.5000
```

The 10 most intense peaks (10 to 90 degrees two-theta), in order of rising 2θ:
- 2θ = 18.3°, d 4.847, I = 134
- 2θ = 19.8°, d 4.478, I = 124
- 2θ = 25.3°, d 3.515, I = 138
- 2θ = 32.4°, d 2.765, I = 1000
- 2θ = 35.2°, d 2.552, I = 200
- 2θ = 37.1°, d 2.424, I = 173
- 2θ = 40.3°, d 2.239, I = 138
- 2θ = 52.0°, d 1.757, I = 130
- 2θ = 61.4°, d 1.511, I = 157
- 2θ = 63.9°, d 1.457, I = 139



Entry 4:
Simulated PXRD pattern
Compound: Na4ScIn3Se8
Radiation: Cu Ka
Structure: DFT lattice parameters and positions (GGA-PBE)

Structure:
```
data_Na4ScIn3Se8
_space_group_name_H-M_alt 'C 1 2/m 1'
_space_group_IT_number 12
_cell_length_a 13.9062
_cell_length_b 8.0296
_cell_length_c 8.4247
_cell_angle_alpha 90.00
_cell_angle_beta 123.37
_cell_angle_gamma 90.00
loop_
_space_group_symop_operation_xyz
'x,y,z'
'-x,-y,-z'
'-x,y,-z'
'x,-y,z'
'x+1/2,y+1/2,z'
'-x+1/2,-y+1/2,-z'
'-x+1/2,y+1/2,-z'
'x+1/2,-y+1/2,z'
loop_
_atom_site_label
_atom_site_fract_x
_atom_site_fract_y
_atom_site_fract_z
Na1 0.0000 0.0000 0.0000
Na2 0.0000 0.5000 0.0000
Na3 0.2500 0.2500 0.0000
Sc1 0.0000 0.0000 0.5000
In1 0.0000 0.5000 0.5000
In2 0.2500 0.2500 0.5000